Stockholm 2008 - Law Section Call for Papers

Stockholm 2008 - Law Section Call for PapersEXTENDED DEADLINE: 15 FEBRUARY 2008!

The Law Section invites submissions for its open sessions at the IAMCR Congress (July 20-25, 2008) in Stockholm, Sweden, under the general theme of the congress "Media and Global Divides". The congress addresses relationships between media and contemporary global divides, be they historical or emergent phenomena. It will explore the pivotal yet under-researched roles of the media with regard to today's global inequalities.

Papers discussing theoretical or methodological perspectives and/or documenting specific case studies are welcome. Joint sessions with other relevant sections and working groups can be organised.

Proposed topics that will be considered include a wide variety of issues that relate to research in relation to processes of media regulation. This includes the following subjects:

  1. Access to Information: From Sweden Onwards. The subject theme will focus on the recent expansion of national legislations on access to information, given Sweden's pivotal role in the history of access to information. Important developments here take place at the Council of Europe which decided to postpone until April 2008 adoption of the draft European Convention on Access to Official Documents in order to give member states time for consideration of outstanding problems with the draft text.

  2. Watchdog for Watchtower: Media Ombudsman in Different world. The theme will be linked to the experience of the host country with its national institute of Press Ombudsman, as well as recent attempts to make legal foundations for self-(co-) regulation process among the journalists.
  3. Media Freedom vs Media Ownership: In search of New Media Law Attempts of developing countries to protect national media from global expansions: are they made in earnest? Regulation of "commercial speech" today: how advertising rules are regulated? The new EU Audiovisual Media Services Directive and advertising/product placement rules.
  4. Internet Regulation Today. Internet, Blogosphere and Public sphere: Implication for Content control and deliver in divided world. Copyright issues of Digital content in Democratic world/ divided society.
  5. The Media and Genocide: From Nuremberg to Arusha. Media and incitement to genocidal or religious hatred and violence become of paramount importance, as the International Criminal Tribunal for Rwanda (ICTR) appeal decision in the so-called "media trial" should definitely have been handed down by the time of the Conference.

Abstracts of no more than 500 words, bearing on the Conference Theme and addressing one or more of the above topics should be submitted to Andrei Richter (richter [AT] with copies to Wolfgang Kleinwachter (wolfgang.kleinwaechter [AT] and Mohammad Sahid Ullah (Ullah_sahid [AT] before 15 February 2008.

Abstracts should explicitly state the prospective nature of the paper, explain the methodology or approaches used and present the empirical material on which the paper is based. There are to be no biographical notes or references in the abstract.

Each abstract may be presented in only one Section of the IAMCR Conference. Offering duplicates of the same paper to different Sections of the Association is likely to result in elimination of the duplicate abstract.

Each abstract must include title, name(s), institutional address and email address of author(s). Applicants will be advised by 1st April 2008 of the outcome of their submissions. The full text of accepted papers will be required no later than 15th June 2008.

........
# 1
CuP4S3Br: computed powder XRD pattern (copper Kα), based on a structure optimized by DFT (GGA-PBE).
Intensities are scaled so that the largest is 100.

Peak list (6 most intense, 2θ = 5–70°, by intensity)
- 2θ = 7.72°, intensity 100, (0 2 0)
- 2θ = 17.92°, intensity 93, (1 3 1)
- 2θ = 15.73°, intensity 37, (0 0 2)
- 2θ = 27.46°, intensity 31, (2 0 2)
- 2θ = 28.56°, intensity 21, (2 2 2)
- 2θ = 30.58°, intensity 20, (1 7 1)

Structural model:
```
data_CuP4S3Br
_cell_length_a 7.953
_cell_length_b 22.917
_cell_length_c 11.269
_cell_angle_alpha 90.00
_cell_angle_beta 90.00
_cell_angle_gamma 90.00
_space_group_name_H-M_alt 'C m c e'
_space_group_IT_number 64
_space_group_name_Hall '-C 2ac 2'
loop_
_atom_site_label
_atom_site_fract_x
_atom_site_fract_y
_atom_site_fract_z
_atom_site_occupancy
Cu1 0.197 0.000 0.000 1
P1 0.000 0.116 0.315 1
P2 0.000 0.210 0.541 1
P3 0.141 0.080 0.474 1
S1 0.000 0.206 0.352 1
S2 0.204 0.153 0.576 1
Br1 0.000 0.023 0.837 1
```

---

# 2
SmPaNi10: computed powder XRD pattern (copper Kα), based on a structure optimized by DFT (GGA-PBE).
Intensities are scaled so that the largest is 100.

Peak list (6 most intense, 2θ = 5–70°, by intensity)
- 2θ = 43.55°, intensity 100, (1 1 3)
- 2θ = 30.82°, intensity 93, (1 1 1)
- 2θ = 43.42°, intensity 51, (1 2 0)
- 2θ = 45.42°, intensity 40, (2 0 0)
- 2θ = 42.79°, intensity 36, (0 2 2)
- 2θ = 36.93°, intensity 34, (0 1 3)

Structural model:
```
data_SmPaNi10
_cell_length_a 3.994
_cell_length_b 4.886
_cell_length_c 8.420
_cell_angle_alpha 90.00
_cell_angle_beta 90.00
_cell_angle_gamma 90.00
_space_group_name_H-M_alt 'P m m m'
_space_group_IT_number 47
loop_
_space_group_symop_operation_xyz
'x,y,z'
'-x,-y,-z'
'-x,-y,z'
'x,y,-z'
'x,-y,-z'
'-x,y,z'
'-x,y,-z'
'x,-y,z'
loop_
_atom_site_label
_atom_site_fract_x
_atom_site_fract_y
_atom_site_fract_z
_atom_site_occupancy
Sm1 0.000 0.000 0.000 1
Pa1 0.000 0.500 0.500 1
Ni1 0.000 0.000 0.340 1
Ni2 0.000 0.500 0.178 1
Ni3 0.500 0.000 0.500 1
Ni4 0.500 0.253 0.255 1
Ni5 0.500 0.500 0.000 1
```

---

Please write out number 1 again, unchanged.
CuP4S3Br: computed powder XRD pattern (copper Kα), based on a structure optimized by DFT (GGA-PBE).
Intensities are scaled so that the largest is 100.

Peak list (6 most intense, 2θ = 5–70°, by intensity)
- 2θ = 7.72°, intensity 100, (0 2 0)
- 2θ = 17.92°, intensity 93, (1 3 1)
- 2θ = 15.73°, intensity 37, (0 0 2)
- 2θ = 27.46°, intensity 31, (2 0 2)
- 2θ = 28.56°, intensity 21, (2 2 2)
- 2θ = 30.58°, intensity 20, (1 7 1)

Structural model:
```
data_CuP4S3Br
_cell_length_a 7.953
_cell_length_b 22.917
_cell_length_c 11.269
_cell_angle_alpha 90.00
_cell_angle_beta 90.00
_cell_angle_gamma 90.00
_space_group_name_H-M_alt 'C m c e'
_space_group_IT_number 64
_space_group_name_Hall '-C 2ac 2'
loop_
_atom_site_label
_atom_site_fract_x
_atom_site_fract_y
_atom_site_fract_z
_atom_site_occupancy
Cu1 0.197 0.000 0.000 1
........
## End of the crystal structures

For further information on the 2008 Stockholm Congress see:

See also the web-site of the IAMCR Law Section.

Law Section Heads:
Andrei Richter (Russia)
Wolfgang Kleinwachter (Germany)

Law Section Deputy Head:

Mohammad Sahid Ullah (Bangladesh)

26 November 2007